-- Wanted --
What is needed: type out all of the calculation results below character by character.

-- File --
-- begin --
No. 1
VASP calculation (PBE) on an optimized crystal structure of SiSeN2.

a = 3.915 Å, b = 3.915 Å, c = 3.915 Å
α = 60.00°, β = 60.00°, γ = 60.00°
Positions (direct):
N1 0.750 0.750 0.750
Si1 0.000 0.000 0.000
Se1 0.500 0.500 0.500
N2 0.250 0.250 0.250

Results
Formation energy (no corrections) in eV per atom: 1.7844



No. 2
VASP calculation (PBE) on an optimized crystal structure of Pm2ErGa2.

a = 4.485 Å, b = 7.700 Å, c = 7.700 Å
α = 90.00°, β = 90.00°, γ = 90.00°
Positions (direct):
Ga1 0.000 0.620 0.120
Er1 0.000 0.000 0.000
Pm1 0.500 0.826 0.326
Pm2 0.500 0.674 0.826
Ga2 0.000 0.880 0.620
Er2 0.000 0.500 0.500
Ga3 0.000 0.120 0.380
Ga4 0.000 0.380 0.880
Pm3 0.500 0.174 0.674
Pm4 0.500 0.326 0.174

Results
ΔH_f (0 K) in eV/atom: -0.519



No. 3
VASP calculation (PBE) on an optimized crystal structure of Pm2Pu3Si4.

a = 7.355 Å, b = 7.745 Å, c = 7.772 Å
α = 90.00°, β = 90.00°, γ = 106.94°
Each line ends with the local moment (μB).
Positions (direct):
Pm1 0.928 0.811 0.823  0.18
Pm2 0.572 0.189 0.323  0.18
Pu1 0.247 0.254 0.689  5.28
Pu2 0.000 0.500 0.500  5.44
Pm3 0.428 0.811 0.677  0.18
Si1 0.629 0.930 0.029  -0.05
Si2 0.371 0.070 0.971  -0.05
Pu3 0.253 0.746 0.189  5.28
Si3 0.617 0.512 0.612  -0.06
Pm4 0.072 0.189 0.177  0.18
Si4 0.117 0.512 0.888  -0.06
Pu4 0.747 0.254 0.811  5.28
Si5 0.129 0.930 0.471  -0.05
Si6 0.871 0.070 0.529  -0.05
Pu5 0.753 0.746 0.311  5.28
Si7 0.883 0.488 0.112  -0.06
Pu6 0.500 0.500 0.000  5.44
Si8 0.383 0.488 0.388  -0.06

Results
Formation energy (no corrections) in eV per atom: -0.5252



No. 4
VASP calculation (PBE) on an optimized crystal structure of Li4HgPd4.

a = 3.949 Å, b = 6.194 Å, c = 6.194 Å
α = 84.17°, β = 71.41°, γ = 71.41°
Positions (direct):
Pd1 0.332 0.668 0.668
Li1 0.676 0.647 0.000
Li2 0.676 0.000 0.647
Hg1 0.000 0.000 0.000
Li3 0.324 0.353 0.000
Pd2 0.668 0.332 0.332
Pd3 0.000 0.332 0.668
Pd4 0.000 0.668 0.332
Li4 0.324 0.000 0.353

Results
ΔH_f (0 K) in eV/atom: -0.386



No. 5
VASP calculation (PBE) on an optimized crystal structure of TlRu2Pt.

a = 4.087 Å, b = 4.087 Å, c = 3.904 Å
α = 90.00°, β = 90.00°, γ = 90.00°
Positions (direct):
Pt1 0.000 0.500 0.500
Ru1 0.000 0.000 0.000
Ru2 0.500 0.500 0.000
Tl1 0.500 0.000 0.500

Results
ΔH_f (0 K) in eV/atom: 0.459



No. 6
VASP calculation (PBE) on an optimized crystal structure of TaAlI3.

a = 5.715 Å, b = 5.715 Å, c = 5.715 Å
α = 90.00°, β = 90.00°, γ = 90.00°
Each line ends with the local moment (μB).
Positions (direct):
I1 0.000 0.000 0.500  0.01
Al1 0.500 0.500 0.500  0.03
I2 0.500 0.000 0.000  0.03
Ta1 0.000 0.000 0.000  1.81
I3 0.000 0.500 0.000  0.01

Results
Formation energy (no corrections) in eV per atom: 0.4467



No. 7
VASP calculation (PBE) on an optimized crystal structure of CaMgCd.

a = 6.461 Å, b = 6.461 Å, c = 6.461 Å
α = 146.76°, β = 146.89°, γ = 47.62°
Positions (direct):
Cd1 0.319 0.319 0.000
Ca1 0.993 0.993 0.000
Mg1 0.688 0.688 0.000

Results
ΔH_f (0 K) in eV/atom: -0.198



No. 8
VASP calculation (PBE) on an optimized crystal structure of MgNb2Pd.

a = 7.677 Å, b = 7.677 Å, c = 6.021 Å
α = 50.39°, β = 50.39°, γ = 90.00°
Positions (direct):
Nb1 0.657 0.125 0.250
Mg1 0.250 0.750 0.500
Pd1 0.750 0.250 0.500
Nb2 0.093 0.625 0.250
Pd2 0.000 0.000 0.000
Nb3 0.875 0.907 0.750
Nb4 0.375 0.343 0.750
Mg2 0.500 0.500 0.000

Results
ΔH_f (0 K) in eV/atom: 0.340


No. 1
VASP calculation (PBEsol) on LiTe2WN after structural relaxation.

Geometry as extended XYZ:
```
5
Lattice="-2.711 -0.330 1.956 -2.004 -3.094 -3.300 2.126 -3.831 2.300" Properties=species:S:1:pos:R:3 pbc="T T T"
N -1.355 -0.165 0.978
Li 0.000 0.000 0.000
Te 1.063 -1.915 1.150
Te -1.002 -1.547 -1.650
W -1.294 -3.628 0.478
```

Computed properties:
N(E_F): 5.0 states/eV/cell

***

No. 2
VASP calculation (PBEsol) on LiZnTeN2 after structural relaxation.

Geometry as extended XYZ:
```
5
Lattice="-1.034 2.676 -2.462 -3.470 -1.490 -0.163 -1.444 2.945 3.808" Properties=species:S:1:pos:R:3 pbc="T T T"
Li 0.000 0.000 0.000
N -0.517 1.338 -1.231
-- stop --

-- Response --
No. 1
VASP calculation (PBE) on an optimized crystal structure of SiSeN2.

a = 3.915 Å, b = 3.915 Å, c = 3.915 Å
α = 60.00°, β = 60.00°, γ = 60.00°
Positions (direct):
N1 0.750 0.750 0.750
Si1 0.000 0.000 0.000
Se1 0.500 0.500 0.500
N2 0.250 0.250 0.250

Results
Formation energy (no corrections) in eV per atom: 1.7844



No. 2
VASP calculation (PBE) on an optimized crystal structure of Pm2ErGa2.

a = 4.485 Å, b = 7.700 Å, c = 7.700 Å
α = 90.00°, β = 90.00°, γ = 90.00°
Positions (direct):
Ga1 0.000 0.620 0.120
Er1 0.000 0.000 0.000
Pm1 0.500 0.826 0.326
Pm2 0.500 0.674 0.826
Ga2 0.000 0.880 0.620
Er2 0.000 0.500 0.500
Ga3 0.000 0.120 0.380
Ga4 0.000 0.380 0.880
Pm3 0.500 0.174 0.674
Pm4 0.500 0.326 0.174

Results
ΔH_f (0 K) in eV/atom: -0.519



No. 3
VASP calculation (PBE) on an optimized crystal structure of Pm2Pu3Si4.

a = 7.355 Å, b = 7.745 Å, c = 7.772 Å
α = 90.00°, β = 90.00°, γ = 106.94°
Each line ends with the local moment (μB).
Positions (direct):
Pm1 0.928 0.811 0.823  0.18
Pm2 0.572 0.189 0.323  0.18
Pu1 0.247 0.254 0.689  5.28
Pu2 0.000 0.500 0.500  5.44
Pm3 0.428 0.811 0.677  0.18
Si1 0.629 0.930 0.029  -0.05
Si2 0.371 0.070 0.971  -0.05
Pu3 0.253 0.746 0.189  5.28
Si3 0.617 0.512 0.612  -0.06
Pm4 0.072 0.189 0.177  0.18
Si4 0.117 0.512 0.888  -0.06
Pu4 0.747 0.254 0.811  5.28
Si5 0.129 0.930 0.471  -0.05
Si6 0.871 0.070 0.529  -0.05
Pu5 0.753 0.746 0.311  5.28
Si7 0.883 0.488 0.112  -0.06
Pu6 0.500 0.500 0.000  5.44
Si8 0.383 0.488 0.388  -0.06

Results
Formation energy (no corrections) in eV per atom: -0.5252



No. 4
VASP calculation (PBE) on an optimized crystal structure of Li4HgPd4.

a = 3.949 Å, b = 6.194 Å, c = 6.194 Å
α = 84.17°, β = 71.41°, γ = 71.41°
Positions (direct):
Pd1 0.332 0.668 0.668
Li1 0.676 0.647 0.000
Li2 0.676 0.000 0.647
Hg1 0.000 0.000 0.000
Li3 0.324 0.353 0.000
Pd2 0.668 0.332 0.332
Pd3 0.000 0.332 0.668
Pd4 0.000 0.668 0.332
Li4 0.324 0.000 0.353

Results
ΔH_f (0 K) in eV/atom: -0.386



No. 5
VASP calculation (PBE) on an optimized crystal structure of TlRu2Pt.

a = 4.087 Å, b = 4.087 Å, c = 3.904 Å
α = 90.00°, β = 90.00°, γ = 90.00°
Positions (direct):
Pt1 0.000 0.500 0.500
Ru1 0.000 0.000 0.000
Ru2 0.500 0.500 0.000
Tl1 0.500 0.000 0.500

Results
ΔH_f (0 K) in eV/atom: 0.459



No. 6
VASP calculation (PBE) on an optimized crystal structure of TaAlI3.

a = 5.715 Å, b = 5.715 Å, c = 5.715 Å
α = 90.00°, β = 90.00°, γ = 90.00°
Each line ends with the local moment (μB).
Positions (direct):
I1 0.000 0.000 0.500  0.01
Al1 0.500 0.500 0.500  0.03
I2 0.500 0.000 0.000  0.03
Ta1 0.000 0.000 0.000  1.81
I3 0.000 0.500 0.000  0.01

Results
Formation energy (no corrections) in eV per atom: 0.4467



No. 7
VASP calculation (PBE) on an optimized crystal structure of CaMgCd.

a = 6.461 Å, b = 6.461 Å, c = 6.461 Å
α = 146.76°, β = 146.89°, γ = 47.62°
Positions (direct):
Cd1 0.319 0.319 0.000
Ca1 0.993 0.993 0.000
Mg1 0.688 0.688 0.000

Results
ΔH_f (0 K) in eV/atom: -0.198



No. 8
VASP calculation (PBE) on an optimized crystal structure of MgNb2Pd.

a = 7.677 Å, b = 7.677 Å, c = 6.021 Å
α = 50.39°, β = 50.39°, γ = 90.00°
Positions (direct):
Nb1 0.657 0.125 0.250
Mg1 0.250 0.750 0.500
Pd1 0.750 0.250 0.500
Nb2 0.093 0.625 0.250
Pd2 0.000 0.000 0.000
Nb3 0.875 0.907 0.750
Nb4 0.375 0.343 0.750
Mg2 0.500 0.500 0.000

Results
ΔH_f (0 K) in eV/atom: 0.340


No. 1
VASP calculation (PBEsol) on LiTe2WN after structural relaxation.

Geometry as extended XYZ:
```
5
Lattice="-2.711 -0.330 1.956 -2.004 -3.094 -3.300 2.126 -3.831 2.300" Properties=species:S:1:pos:R:3 pbc="T T T"
N -1.355 -0.165 0.978
Li 0.000 0.000 0.000
Te 1.063 -1.915 1.150
Te -1.002 -1.547 -1.650
W -1.294 -3.628 0.478
```

Computed properties:
N(E_F): 5.0 states/eV/cell

***

No. 2
VASP calculation (PBEsol) on LiZnTeN2 after structural relaxation.

Geometry as extended XYZ:
```
5
Lattice="-1.034 2.676 -2.462 -3.470 -1.490 -0.163 -1.444 2.945 3.808" Properties=species:S:1:pos:R:3 pbc="T T T"
Li 0.000 0.000 0.000
N -0.517 1.338 -1.231